Job >
It remains to restate the whole of the contents underneath word for word.

Entries >
/*
MgMn6O6F6: optimized geometry, PBE with a Hubbard U.

Symmetry = P1 (1)
Distance to the lowest polymorph of the same formula = 0.066 eV/atom

Lattice parameters (Å, degrees): 5.0001 4.8811 9.4201 91.73 91.18 88.80
Atoms (fractional coordinates):
O 0.7071 0.6658 0.9839
Mn 0.4789 0.5268 0.8315
O 0.2095 0.8157 0.8417
O 0.8070 0.1341 0.1589
Mn 0.9847 0.9655 0.3161
F 0.2308 0.7762 0.1665
F 0.7620 0.1959 0.5014
Mg 0.9933 0.5015 0.4995
O 0.2882 0.3868 0.6458
F 0.2294 0.3202 0.3466
O 0.7260 0.6540 0.3473
F 0.2761 0.2826 0.0007
Mn 0.0702 0.0299 0.6779
Mn 0.9843 0.9550 0.9955
O 0.1965 0.8388 0.4840
Mn 0.5596 0.4728 0.1541
Mn 0.4852 0.5599 0.4950
F 0.7654 0.2038 0.8146
F 0.7596 0.6870 0.6488

=====

CsFeBP2HO9: optimized geometry, PBE with a Hubbard U.

Symmetry = P2_1/c (14)

Lattice parameters (Å, degrees): 8.7237 9.4816 9.9367 77.15 90.00 90.00
Atoms (fractional coordinates):
O 0.0043 0.0732 0.6870
O 0.0411 0.6818 0.5436
Fe 0.3464 0.2058 0.0710
O 0.9957 0.9268 0.3130
O 0.7187 0.6406 0.5581
O 0.9427 0.1962 0.2718
O 0.6689 0.9004 0.3355
P 0.7331 0.5816 0.7138
O 0.0947 0.4211 0.2385
P 0.2669 0.4184 0.2862
O 0.1850 0.5827 0.7536
B 0.9563 0.3410 0.3026
O 0.4957 0.0732 0.1870
O 0.7813 0.6406 0.0581
B 0.0437 0.6590 0.6974
Cs 0.3910 0.8062 0.5545
O 0.5411 0.3182 0.9564
O 0.4589 0.6818 0.0436
H 0.0860 0.6015 0.5097
O 0.6850 0.4173 0.7464
O 0.1657 0.0878 0.4256
O 0.3311 0.0996 0.6645
O 0.5573 0.1962 0.7718
Cs 0.1090 0.8062 0.0545
H 0.9140 0.3985 0.4903
O 0.8311 0.9004 0.8355
O 0.5043 0.9268 0.8130
O 0.9053 0.5789 0.7615
P 0.2331 0.4184 0.7862
O 0.3684 0.3399 0.2003
P 0.4279 0.0749 0.7979
B 0.4563 0.6590 0.1974
O 0.1316 0.3399 0.7003
O 0.3150 0.5827 0.2536
O 0.6657 0.9122 0.0744
Fe 0.8464 0.7942 0.4290
Cs 0.8910 0.1938 0.9455
O 0.5947 0.5789 0.2615
O 0.4053 0.4211 0.7385
O 0.4427 0.8038 0.2282
B 0.5437 0.3410 0.8026
P 0.0721 0.0749 0.2979
O 0.1689 0.0996 0.1645
P 0.7669 0.5816 0.2138
O 0.8150 0.4173 0.2464
O 0.8343 0.9122 0.5744
Fe 0.6536 0.7942 0.9290
O 0.6316 0.6601 0.7997
O 0.0573 0.8038 0.7282
O 0.2187 0.3594 0.9419
P 0.5721 0.9251 0.2021
O 0.9589 0.3182 0.4564
Cs 0.6090 0.1938 0.4455
P 0.9279 0.9251 0.7021
O 0.2813 0.3594 0.4419
O 0.3343 0.0878 0.9256
H 0.4140 0.6015 0.0097
H 0.5860 0.3985 0.9903
Fe 0.1536 0.2058 0.5710
O 0.8684 0.6601 0.2997

=====

In the order shown, the computed DFT formation energy values come out to -2395, -2468 meV/atom.

* * * * *

Record 1
DFT (PBE-GGA) results for a relaxed structure of Na7Ta2Zn2Si3P3O24.

Structure (POSCAR):
```
Na7Ta2Zn2Si3P3O24
1.0
-8.268 -2.160 -3.169
2.133 -1.636 8.684
-7.490 20.165 5.432
O P Zn Na Si Ta
72 9 6 21 9 6
Direct
0.161 0.693 0.470
0.631 0.535 0.644
0.159 0.499 0.571
0.835 0.803 0.302
0.488 0.108 0.641
0.482 0.322 0.745
0.301 0.482 0.758
0.828 0.040 0.081
0.507 0.139 0.922
0.707 0.532 0.245
0.340 0.839 0.574
0.184 0.701 0.756
0.863 0.367 0.920
0.519 0.875 0.354
0.161 0.481 0.255
0.838 0.518 0.024
0.160 0.191 0.698
0.532 0.673 0.256
0.788 0.964 0.694
0.527 0.825 0.757
0.023 0.829 0.695
0.210 0.172 0.081
0.212 0.185 0.815
0.897 0.384 0.642
0.783 0.810 0.189
0.440 0.142 0.521
0.193 0.028 0.306
0.980 0.159 0.594
0.374 0.497 0.086
0.822 0.817 0.591
0.822 0.301 0.245
0.493 0.343 0.140
0.848 0.286 0.524
0.854 0.504 0.142
0.821 0.825 0.916
0.822 0.974 0.411
0.140 0.455 0.977
0.040 0.844 0.412
0.158 0.192 0.411
0.357 0.865 0.863
0.479 0.341 0.420
0.480 0.184 0.245
0.310 0.855 0.977
0.019 0.200 0.911
0.502 0.875 0.084
0.028 0.209 0.185
0.527 0.840 0.472
0.510 0.659 0.573
0.964 0.808 0.081
0.170 0.999 0.592
0.190 0.992 0.915
0.134 0.499 0.864
0.675 0.162 0.028
0.633 0.486 0.921
0.482 0.322 0.026
0.498 0.642 0.863
0.654 0.145 0.141
0.307 0.471 0.466
0.707 0.551 0.531
0.327 0.843 0.253
0.343 0.464 0.353
0.660 0.152 0.419
0.111 0.640 0.357
0.540 0.684 0.983
0.842 0.512 0.745
0.675 0.144 0.745
0.968 0.161 0.305
0.817 0.026 0.807
0.862 0.518 0.426
0.182 0.963 0.186
0.143 0.636 0.084
0.970 0.783 0.813
0.665 0.629 0.584
0.666 0.048 0.082
0.707 0.996 0.752
0.333 0.374 0.411
0.040 0.374 0.920
*/

Worked solution >
MgMn6O6F6: optimized geometry, PBE with a Hubbard U.

Symmetry = P1 (1)
Distance to the lowest polymorph of the same formula = 0.066 eV/atom

Lattice parameters (Å, degrees): 5.0001 4.8811 9.4201 91.73 91.18 88.80
Atoms (fractional coordinates):
O 0.7071 0.6658 0.9839
Mn 0.4789 0.5268 0.8315
O 0.2095 0.8157 0.8417
O 0.8070 0.1341 0.1589
Mn 0.9847 0.9655 0.3161
F 0.2308 0.7762 0.1665
F 0.7620 0.1959 0.5014
Mg 0.9933 0.5015 0.4995
O 0.2882 0.3868 0.6458
F 0.2294 0.3202 0.3466
O 0.7260 0.6540 0.3473
F 0.2761 0.2826 0.0007
Mn 0.0702 0.0299 0.6779
Mn 0.9843 0.9550 0.9955
O 0.1965 0.8388 0.4840
Mn 0.5596 0.4728 0.1541
Mn 0.4852 0.5599 0.4950
F 0.7654 0.2038 0.8146
F 0.7596 0.6870 0.6488

=====

CsFeBP2HO9: optimized geometry, PBE with a Hubbard U.

Symmetry = P2_1/c (14)

Lattice parameters (Å, degrees): 8.7237 9.4816 9.9367 77.15 90.00 90.00
Atoms (fractional coordinates):
O 0.0043 0.0732 0.6870
O 0.0411 0.6818 0.5436
Fe 0.3464 0.2058 0.0710
O 0.9957 0.9268 0.3130
O 0.7187 0.6406 0.5581
O 0.9427 0.1962 0.2718
O 0.6689 0.9004 0.3355
P 0.7331 0.5816 0.7138
O 0.0947 0.4211 0.2385
P 0.2669 0.4184 0.2862
O 0.1850 0.5827 0.7536
B 0.9563 0.3410 0.3026
O 0.4957 0.0732 0.1870
O 0.7813 0.6406 0.0581
B 0.0437 0.6590 0.6974
Cs 0.3910 0.8062 0.5545
O 0.5411 0.3182 0.9564
O 0.4589 0.6818 0.0436
H 0.0860 0.6015 0.5097
O 0.6850 0.4173 0.7464
O 0.1657 0.0878 0.4256
O 0.3311 0.0996 0.6645
O 0.5573 0.1962 0.7718
Cs 0.1090 0.8062 0.0545
H 0.9140 0.3985 0.4903
O 0.8311 0.9004 0.8355
O 0.5043 0.9268 0.8130
O 0.9053 0.5789 0.7615
P 0.2331 0.4184 0.7862
O 0.3684 0.3399 0.2003
P 0.4279 0.0749 0.7979
B 0.4563 0.6590 0.1974
O 0.1316 0.3399 0.7003
O 0.3150 0.5827 0.2536
O 0.6657 0.9122 0.0744
Fe 0.8464 0.7942 0.4290
Cs 0.8910 0.1938 0.9455
O 0.5947 0.5789 0.2615
O 0.4053 0.4211 0.7385
O 0.4427 0.8038 0.2282
B 0.5437 0.3410 0.8026
P 0.0721 0.0749 0.2979
O 0.1689 0.0996 0.1645
P 0.7669 0.5816 0.2138
O 0.8150 0.4173 0.2464
O 0.8343 0.9122 0.5744
Fe 0.6536 0.7942 0.9290
O 0.6316 0.6601 0.7997
O 0.0573 0.8038 0.7282
O 0.2187 0.3594 0.9419
P 0.5721 0.9251 0.2021
O 0.9589 0.3182 0.4564
Cs 0.6090 0.1938 0.4455
P 0.9279 0.9251 0.7021
O 0.2813 0.3594 0.4419
O 0.3343 0.0878 0.9256
H 0.4140 0.6015 0.0097
H 0.5860 0.3985 0.9903
Fe 0.1536 0.2058 0.5710
O 0.8684 0.6601 0.2997

=====

In the order shown, the computed DFT formation energy values come out to -2395, -2468 meV/atom.

* * * * *

Record 1
DFT (PBE-GGA) results for a relaxed structure of Na7Ta2Zn2Si3P3O24.

Structure (POSCAR):
```
Na7Ta2Zn2Si3P3O24
1.0
-8.268 -2.160 -3.169
2.133 -1.636 8.684
-7.490 20.165 5.432
O P Zn Na Si Ta
72 9 6 21 9 6
Direct
0.161 0.693 0.470
0.631 0.535 0.644
0.159 0.499 0.571
0.835 0.803 0.302
0.488 0.108 0.641
0.482 0.322 0.745
0.301 0.482 0.758
0.828 0.040 0.081
0.507 0.139 0.922
0.707 0.532 0.245
0.340 0.839 0.574
0.184 0.701 0.756
0.863 0.367 0.920
0.519 0.875 0.354
0.161 0.481 0.255
0.838 0.518 0.024
0.160 0.191 0.698
0.532 0.673 0.256
0.788 0.964 0.694
0.527 0.825 0.757
0.023 0.829 0.695
0.210 0.172 0.081
0.212 0.185 0.815
0.897 0.384 0.642
0.783 0.810 0.189
0.440 0.142 0.521
0.193 0.028 0.306
0.980 0.159 0.594
0.374 0.497 0.086
0.822 0.817 0.591
0.822 0.301 0.245
0.493 0.343 0.140
0.848 0.286 0.524
0.854 0.504 0.142
0.821 0.825 0.916
0.822 0.974 0.411
0.140 0.455 0.977
0.040 0.844 0.412
0.158 0.192 0.411
0.357 0.865 0.863
0.479 0.341 0.420
0.480 0.184 0.245
0.310 0.855 0.977
0.019 0.200 0.911
0.502 0.875 0.084
0.028 0.209 0.185
0.527 0.840 0.472
0.510 0.659 0.573
0.964 0.808 0.081
0.170 0.999 0.592
0.190 0.992 0.915
0.134 0.499 0.864
0.675 0.162 0.028
0.633 0.486 0.921
0.482 0.322 0.026
0.498 0.642 0.863
0.654 0.145 0.141
0.307 0.471 0.466
0.707 0.551 0.531
0.327 0.843 0.253
0.343 0.464 0.353
0.660 0.152 0.419
0.111 0.640 0.357
0.540 0.684 0.983
0.842 0.512 0.745
0.675 0.144 0.745
0.968 0.161 0.305
0.817 0.026 0.807
0.862 0.518 0.426
0.182 0.963 0.186
0.143 0.636 0.084
0.970 0.783 0.813
0.665 0.629 0.584
0.666 0.048 0.082
0.707 0.996 0.752
0.333 0.374 0.411
0.040 0.374 0.920